Friday, June 24, 2011

Father's Day!

I know it's late, but I still have to document it!
For Father's day this year we celebrated early with Brett's Dad and the rest of the family on Saturday.  We went swimming, and had lunch over at Brett's Parents house.  
 Harper and Grandpa
 The Dad's and their Kiddos!
 Harper and Daddy
On Father's Day we had a very lazy and relaxing morning!  We had french toast for breakfast and then we made a batch of Homemade Oreos!!! I had lots of help in the kitchen!!!!

 Gage was obviously looking at something much more important that ME! haha
 During the baking process...the Boys were licking the beaters, and Gage liked that more than the actual cookies!
 Finished product!
On Sunday Brett had to work so the kids and I went over to see my Dad, and hangout for a while!  My sister and her family are here so it was fun to get a picture with 5 of the 8.5 grandkids!
(9 By Wednesday!!!!!)
Papa with the kids!

Happy Father's Day!!!!


Thursday, June 23, 2011


Harper went in the pool for the 1st time on Tuesday!
She LOVED it!
My sister is here, to have my newest nephew, so we are having lots on cousin time, swimming and hanging out!  So we decided it was time for Harp to swim with us!  
 *HAHA that hat kills me!
 *10 seconds after wrapping her in the towel...ASLEEP!
*Gage and Daddy!

We have so much more swimming to do this week!  I will have LOTS of pictures!



Last week we had a very special day for Harper!
She got her ears pierced!!! 
It was so easy, after talking to our pediatrician and him suggesting to take her to either Claire's or Icing(He said they are the cleanest places he knows about!) to get it done, it was decided that we needed to take her!  She did AMAZING!!! She cried for about 15 seconds, and that was it!
She does great when I have to clean them, and she just looks so stinkin' cute with her earrings!
 *After!!!! I know you can't see them, those dang cheeks!
*I can only get 1 side in a picture at a time...her Cheeks hide both if i get a picture straight on!!!
But we are all loving Harper's Big Girl Earrings!!!!


Tuesday, June 14, 2011

Palm Springs 2011

The Kids and I went to Palm Springs for a few days to see my sister and her Fam, and we had so much fun!
 *Swimming! The Kids LOVED it!
 *Sprinkler on the tramp!
 *They are getting too big!
 *These 2 are a trip for sure! (Can you get enough of Carter's hair???)
 *Harper got ALL the attention she could ever want!
*Meal times were fun with 4 kiddos!

We had lots of fun with everyone, and Gage keeps asking where "TI-HEE" is.  Or better known as Tiffy!
Now get your booties out here, we miss you guys!!!!


Wednesday, June 8, 2011

== These materials data were left in the entry by mistake ==
/*
# 1
Entry from the Materials Project database: crystalline Li7VO4F2 at its relaxed geometry (GGA+U).

## Properties
- Magnetization: 0.001 μB per atom
- Formation enthalpy at 0 K: -2.40 eV/atom

Cell: 5.5230 10.4152 9.8526 Å, 107.61 90.34 90.82°
Closest atoms and distances in Å follow each position.
Fractional coordinates of all 56 atoms:
Li  0.3492  0.8214  0.9521  3 O 1.89-2.06, 1 F 1.94
Li  0.3833  0.3548  0.4543  2 O 1.86-2.02, 1 F 1.94
Li  0.1808  0.1484  0.2359  2 F 1.88-1.95, 1 O 1.94
Li  0.7925  0.3723  0.2660  2 O 1.88-1.92, 1 F 2.04
Li  0.3489  0.3158  0.7455  3 O 1.86-1.98, 1 F 2.04
Li  0.8002  0.8374  0.1284  2 O 1.89-2.02, 2 F 1.91-2.09
Li  0.7123  0.1680  0.3814  2 F 1.93-2.00, 2 O 1.99-2.01
Li  0.4991  0.9830  0.8076  4 O 2.08-2.32, 1 F 2.26
Li  0.1299  0.1700  0.5491  3 O 1.92-2.04, 1 F 1.96
Li  0.2926  0.8720  0.2659  2 O 1.89-1.92, 1 F 2.04
Li  0.9904  0.0110  0.6850  5 O 2.10-2.31
Li  0.8489  0.8158  0.7454  3 O 1.86-1.98, 1 F 2.04
Li  0.6773  0.1790  0.7489  4 O 1.91-2.00
Li  0.9991  0.4830  0.8076  4 O 2.08-2.32, 1 F 2.26
Li  0.3080  0.8119  0.6151  4 O 1.91-2.02
Li  0.3002  0.3374  0.1283  2 O 1.89-2.02, 2 F 1.91-2.09
Li  0.2122  0.6680  0.3814  2 F 1.93-2.00, 2 O 1.99-2.01
Li  0.1932  0.1757  0.8782  3 O 1.90-2.02, 1 F 1.93
Li  0.1251  0.6746  0.0508  3 O 1.90-2.06, 1 F 1.96
Li  0.6251  0.1745  0.0508  3 O 1.89-2.06, 1 F 1.96
Li  0.6809  0.6486  0.2359  2 F 1.88-1.95, 1 O 1.94
Li  0.8835  0.8548  0.4543  2 O 1.86-2.02, 1 F 1.94
Li  0.1774  0.6790  0.7489  4 O 1.91-2.00
Li  0.6297  0.6701  0.5491  3 O 1.92-2.04, 1 F 1.96
Li  0.6933  0.6759  0.8782  3 O 1.90-2.02, 1 F 1.93
Li  0.8491  0.3214  0.9521  3 O 1.89-2.06, 1 F 1.94
Li  0.4904  0.5110  0.6850  5 O 2.10-2.31
Li  0.8080  0.3119  0.6151  4 O 1.91-2.02
O  0.7885  0.6351  0.0456  4 Li 1.90-2.02, 1 V 1.93
O  0.8005  0.1093  0.5496  4 Li 1.92-2.01, 1 V 2.00
O  0.2195  0.8705  0.4556  4 Li 1.86-2.01, 1 V 1.99
O  0.6577  0.8721  0.6187  5 Li 1.86-2.08, 1 V 2.04
O  0.1263  0.8817  0.1018  4 Li 1.89-2.06, 1 V 1.99
O  0.1576  0.3721  0.6188  5 Li 1.86-2.08, 1 V 2.04
O  0.6749  0.3789  0.8048  5 Li 1.93-2.08, 1 V 2.08
O  0.8390  0.6170  0.6948  4 Li 1.91-2.04, 1 V 1.96
O  0.2886  0.1350  0.0456  4 Li 1.89-2.02, 1 V 1.93
O  0.7193  0.3706  0.4556  4 Li 1.86-2.01, 1 V 1.99
O  0.6262  0.3818  0.1019  4 Li 1.88-2.06, 1 V 1.99
O  0.8456  0.1135  0.8840  5 Li 1.91-2.10, 1 V 2.04
O  0.3004  0.6093  0.5496  4 Li 1.92-2.01, 1 V 2.00
O  0.3457  0.6136  0.8840  5 Li 1.91-2.10, 1 V 2.04
O  0.3391  0.1169  0.6948  4 Li 1.91-2.04, 1 V 1.96
O  0.1749  0.8789  0.8047  5 Li 1.93-2.08, 1 V 2.08
F  0.3594  0.1285  0.3915  3 Li 1.88-2.00
F  0.6869  0.8701  0.9395  4 Li 1.93-2.09
F  0.1868  0.3701  0.9394  4 Li 1.93-2.09
F  0.6524  0.8668  0.3099  3 Li 1.91-2.04
F  0.1523  0.3667  0.3098  3 Li 1.91-2.04
F  0.3362  0.6300  0.1903  3 Li 1.93-1.96
F  0.8593  0.6285  0.3915  3 Li 1.88-2.00
F  0.8362  0.1297  0.1903  3 Li 1.93-1.96
V  0.5281  0.5041  0.9905  4 O 1.93-2.08
*/

2 Months Old!

I seriously can not believe that Harper is 2 Months old already!
It seems like last week I was still prego.
Harper these days:
*Smiles like CrAzY!
*A very good eater!
*For sure my Diva child when it comes to diaper changes, the minute she is wet, She lets you know!
*She sleeps about 5 1/2 to 6 hours at night!
*She loves to get lotion after her bath!  
*She giggles at Gage!

2 Month Stats:
Height: 23 1/4 inches 75th %
Weight: 11 lbs 8 oz 60th %
(Don't you just want to squeeze and kiss those cheeks all day?!?)

She did good with her shots. And Gage LOVED her Band-aids!

Stradle the Bellies!

This past week The Kids and I ventured over to Palm Springs to visit with Tyf and her Fam!
It was so fun! (More on that Later!)

********
# 1
# Na5LiCo2P2C2O14

An optimized crystal structure of Na5LiCo2P2C2O14 (PBE with a Hubbard U, the Materials Project database).

Output
Volume in Å³ per atom: 11.8
ΔE_f in eV/atom: -2.24
Symmetry: No. 1
Total DFT energy (no corrections) in eV per atom: -6.409
Size of the total moment in μB/atom: 0.0000

The structure in extended XYZ format:
```
26
Lattice="2.546 -4.448 0.884 0.063 1.338 6.516 -7.599 -4.436 1.060" Properties=species:S:1:pos:R:3 pbc="T T T"
O 1.534 -3.696 5.813
Na -3.622 -5.884 4.745
Na -1.360 -1.671 3.724
O -4.515 -3.205 4.573
Co -4.362 -3.545 2.507
O -2.770 -1.588 5.588
O -2.646 -4.079 6.047
P -1.294 -4.693 2.680
O 0.097 -1.402 1.858
O -5.246 -5.614 2.942
O -6.523 -3.818 2.606
O 0.176 -1.938 5.588
Li -1.628 -2.281 0.643
P -3.607 -2.873 5.799
O -0.295 -4.980 1.517
C -6.442 -5.104 2.823
O -2.143 -5.945 3.001
Na -3.607 -5.232 7.914
O -5.184 -6.101 6.440
Na -6.355 -4.067 6.084
Co -0.584 -3.994 5.979
Na 1.345 -3.457 2.322
O -4.581 -2.739 7.014
C 1.387 -2.421 5.589
O -2.240 -3.501 2.288
O -0.413 -4.263 3.891
```

=====

# 2
# CrTeW2O12

An optimized crystal structure of CrTeW2O12 (PBE with a Hubbard U, the Materials Project database).

Output
Volume in Å³ per atom: 12.7
Largest piezoelectric modulus in C/m2: 2.31
ΔE_f in eV/atom: -1.73
Symmetry: No. 1
Total DFT energy (no corrections) in eV per atom: -6.664
Size of the total moment in μB/atom: 0.0000

The structure in extended XYZ format:
```
16
Lattice="-1.524 3.958 2.888 -2.659 -3.359 3.176 6.204 -0.554 4.023" Properties=species:S:1:pos:R:3 pbc="T T T"
O 0.643 -1.810 4.613
O 1.795 0.279 3.295
O -2.535 0.048 6.719
W -2.234 0.157 3.246
O 1.430 1.871 5.504
O 2.773 0.273 8.432
O -0.799 -0.245 1.662
O 4.234 1.642 6.504
O 0.255 -0.237 6.790
Te 1.042 0.029 5.050
W -1.248 0.299 7.911
O 4.518 -0.049 3.374
O -2.301 -1.587 3.627
O -0.663 0.581 4.301
O 2.771 -0.509 5.728
Cr 5.855 -0.719 4.079
```

=====

# 3
# ZnCoP2O7

An optimized crystal structure of ZnCoP2O7 (PBE with a Hubbard U, the Materials Project database).

Output
Volume in Å³ per atom: 11.8
ΔE_f in eV/atom: -2.32
Symmetry: No. 1
Total DFT energy (no corrections) in eV per atom: -6.624
Size of the total moment in μB/atom: 0.0000

The structure in extended XYZ format:
```
22
Lattice="0.794 5.850 2.536 0.552 -0.387 7.030 6.209 -0.155 0.878" Properties=species:S:1:pos:R:3 pbc="T T T"
Co 2.907 5.172 4.063
Zn 6.136 1.444 2.933
O 2.955 3.360 3.195
O 1.918 1.086 2.650
O 2.266 1.873 5.028
O 1.091 1.843 7.180
O 4.878 5.367 3.849
O 5.609 4.225 7.796
O 4.289 1.205 3.667
P 4.621 3.426 6.910
O 6.462 3.479 3.241
Zn 1.436 3.875 7.492
O 5.337 3.397 5.423
O 0.484 0.098 5.408
O 3.270 4.129 6.693
O 7.078 5.215 5.026
P 2.926 1.888 3.521
O 2.668 -0.082 6.629
Co 4.678 0.130 6.463
P 5.954 4.402 4.362
P 1.622 0.892 6.088
O 4.525 1.960 7.261
```

=====

# 4
# MgMn6O8F4

An optimized crystal structure of MgMn6O8F4 (PBE with a Hubbard U, the Materials Project database).

Output
Volume in Å³ per atom: 11.8
ΔE_f in eV/atom: -2.26
Symmetry: No. 1
********

But I have to document these!
This was when I was prego with Gage and Carter was probably about a month old here!
I look HUGE! But, This is one of my favorites! and My Mom and sister agree!

So of course I HAD to get a picture of Aunt Tiffy with Harper stradling her belly!
Harper is 2 1/2 months old here!!!

More Pics of Palm Springs to come!